MIWP-7b WCS-based download services


The action started with avirtual kick-off meeting that was held on June 23rd, 2015 and since then the group has had 4 teleconferences.

All tasks which are included in the ToR have progressed without major delays.

T1 Updates to Technical Guidelines for dowload services to include WCS

  • Work-in-progress (start delayed for two weeks)

T2 New Technical Guidelines for providing INSPIRE coverage data by using WCS

  • Work-in-progress (start delayed for two weeks)

T3 Document the current state-of-play of WCS 2.0 and older versions

  • Work-in-progress (on time)

T4 Demonstrate the feasibility of the proposed guidelines

T4-i Implement the INSPIRE extensions in Open Source WCS 2.0 solution

  • Work-in-progress (on time)

Preliminary implementations made for GeoServer by British Geological Survey and for Rasdaman by the Rasdaman team.

T4-ii Deploy sample coverage data sets from several INSPIRE themes

  • Work-in-progress (on time)

Three demo services are online offering imagery, DEM, and geological data. Meteorological and oceanographic dataset not yet available.

T4-iii Demonstrate interoperability of the deployed data and services

  • In progress (on time)

Start scheduled for December, 2015

T5 Establish a web space and maintain an issue tracker for WCS based download services

Here the article breaks off for molecular data:
(1)
52
Properties=species:S:1:pos:R:3:forces:R:3 method="wB97M-V/def2-TZVPD" spin_multiplicity=3 energy_ev=-252568.11517 s2=2.01 de_lowest_kcal_mol=0.00 mol_weight_g_mol=1050.70 total_charge=+1
Au -1.0612 -1.9231 1.2372 0.028 0.010 0.006
Se -2.6811 -4.3487 2.1854 -0.040 0.033 -0.021
Se -3.5748 -4.7516 0.1970 -0.033 -0.010 0.040
Te -1.5502 -5.5142 -1.2699 0.067 -0.007 -0.030
Se 0.3251 -4.6723 -0.0984 -0.042 -0.035 0.017
S -2.4034 -1.2959 -0.5382 -0.011 0.007 -0.006
Sb -0.9601 0.4117 -1.1586 -0.017 -0.020 -0.023
C -0.1308 1.3773 0.5108 0.002 0.006 -0.018
C 1.2504 1.5060 0.6226 -0.006 -0.010 0.026
C 1.7915 2.1379 1.7357 0.021 0.013 -0.023
C 0.9589 2.6431 2.7247 -0.014 0.006 -0.002
C -0.4199 2.5063 2.6134 -0.004 -0.009 -0.002
C -0.9694 1.8685 1.5096 -0.023 0.028 -0.019
C 0.6004 -0.3542 -2.3239 -0.014 0.033 -0.002
C 1.4900 0.5143 -2.9522 -0.006 0.017 0.015
C 2.5218 -0.0068 -3.7175 0.005 -0.011 -0.004
C 2.6567 -1.3828 -3.8568 -0.001 0.013 -0.004
C 1.7584 -2.2425 -3.2417 -0.004 -0.002 -0.005
C 0.7221 -1.7292 -2.4745 -0.019 -0.022 0.024
C -1.9553 1.8448 -2.3116 0.002 -0.014 0.012
C -2.0556 3.1611 -1.8762 0.029 0.007 0.039
C -2.7238 4.0890 -2.6627 -0.010 0.002 -0.013
C -3.2846 3.6993 -3.8701 0.001 0.002 0.007
C -3.1808 2.3833 -4.3018 0.001 0.000 0.001
C -2.5156 1.4499 -3.5232 -0.001 -0.011 -0.007
H 1.9081 1.1112 -0.1426 0.001 -0.002 -0.021
H 2.8649 2.2365 1.8277 0.010 0.007 0.013
H 1.3854 3.1322 3.5897 0.010 -0.005 0.005
H -1.0679 2.8952 3.3877 -0.005 0.004 -0.001
H -2.0455 1.7581 1.4338 0.000 -0.021 0.002
H 1.3807 1.5894 -2.8602 0.001 0.001 0.007
H 3.2169 0.6602 -4.2092 0.005 0.003 -0.003
H 3.4625 -1.7847 -4.4565 0.004 0.000 0.000
H 1.8597 -3.3133 -3.3591 0.001 -0.006 0.002
H 0.0069 -2.3953 -2.0051 0.029 0.013 0.012
H -1.6165 3.4706 -0.9346 -0.004 -0.005 -0.009
H -2.8067 5.1151 -2.3310 0.003 0.006 0.002
H -3.8062 4.4250 -4.4796 0.000 0.003 -0.003
H -3.6183 2.0843 -5.2446 -0.003 -0.001 -0.004
H -2.4372 0.4236 -3.8644 -0.002 0.004 -0.001
N 2.6492 1.1823 5.3236 0.016 0.022 -0.019
C 2.2230 0.1892 4.9369 -0.013 0.002 0.037
C 1.6769 -1.0453 4.4473 -0.025 -0.013 -0.049
C 2.0233 -2.2700 5.0084 0.020 -0.009 0.009
C 1.4644 -3.4183 4.4790 0.001 -0.001 -0.005
C 0.5867 -3.3119 3.4163 -0.003 0.005 0.001
N 0.2512 -2.1303 2.8832 0.024 -0.008 -0.012
C 0.7846 -1.0133 3.3849 0.025 0.008 0.028
H 2.7161 -2.3131 5.8376 -0.002 0.003 0.001
H 1.7049 -4.3922 4.8788 -0.004 -0.006 0.002
H 0.1285 -4.1814 2.9634 0.010 -0.016 -0.010
H 0.4958 -0.0751 2.9299 -0.008 -0.014 0.010

---

(2)
72
Properties=species:S:1:pos:R:3:forces:R:3 method="wB97M-V/def2-TZVPD" spin_multiplicity=4 energy_ev=-107618.75402 s2=3.91 mol_weight_g_mol=758.30 total_charge=-1
Cr -0.8874 -0.6666 0.8555 1.154 -0.051 -0.165
O 1.5022 2.6371 0.0491 -0.606 -0.267 0.056
C 0.4407 2.0110 -0.0737 0.750 0.118 0.305
O 0.2756 0.8258 0.3847 -0.016 0.385 -0.089
C -0.6868 2.7126 -0.7929 -0.402 0.147 -0.375
C -0.3875 3.9804 -1.2980 0.100 -0.113 0.078
C -1.3427 4.7597 -1.9172 -0.079 0.003 -0.116

  • Completed


There are 17 experts in the group besides JRC staff and the group leader. Expertise covers very well the WCS standard and aspects of the coverage data of all relevant INSPIRE datasets. However, large part of the MIWP-7b action deals with updating the Technical Guidelines for the INSPIRE download services and only minority of experts have deep knowledge on INSPIRE legislation and documents. So far on average 5 experts out of 17 have attended the teleconferences and number of experts have given valuable input between the meetings. Participation will probably become more active when concrete and targeted questions about Web Coverage Service and coverage data are discussed.

Running the action – Lessons learned

When I started my job as an action leader I had relatively good knowledge on WCS but almost no experience about INSPIRE and the infrastructure around it. More intensive learning about the INSPIRE environment and the tools we use like teleconferencing software and Redmine would have gained both me and the project.

Especially in the first teleconferences a lot of the time hadto be spent to compulsory organizational tasks which has made some technically orientated experts to feel frustrated. It might be good to arrange also targeted chat sessions for a subset of experts with a short agendalike “How to put meteorological data into WCS for INSPIRE?” It could help with getting the best out of each expert and make them feel more comfortable at the same.

== Someone pasted quantum chemistry results at this point ==
-- begin --
Record 1
DFT (ωB97M-V/def2-TZVPD) results for C26H26N7O5W as an isolated structure in a non-equilibrium geometry.

Largest force on an atom, eV/Å: 2.1
Charge: +1
LUMO energy (spin up / spin down), eV: -4.221 / -4.220
Frontier orbital gap (spin up / spin down), Ha: 0.245 / 0.245

XYZ file:
```
65
C26H26N7O5W (ωB97M-V/def2-TZVPD)
W -0.431 -0.602 -0.439
C 3.226 -4.653 1.277
C 2.162 -4.814 0.400
C 1.156 -3.860 0.329
C 1.215 -2.734 1.141
C 2.280 -2.568 2.022
C 3.279 -3.528 2.090
N 0.226 -1.705 1.076
C -0.407 -1.311 2.282
C -0.575 -2.122 3.401
C -1.353 -1.681 4.456
C -1.990 -0.444 4.402
C -1.835 0.353 3.282
C -1.026 -0.068 2.241
N -0.968 0.688 1.016
N 0.313 0.998 0.518
C 0.587 2.368 0.353
C -0.048 3.307 1.164
C 0.297 4.636 1.007
C 1.266 4.987 0.076
C 1.852 3.973 -0.658
N 1.522 2.685 -0.532
H 4.004 -5.403 1.334
H 2.104 -5.693 -0.229
H 0.323 -4.008 -0.345
H 2.320 -1.689 2.654
H 4.102 -3.393 2.779
H -0.118 -3.102 3.433
H -1.484 -2.321 5.319
H -2.618 -0.117 5.219
H -2.344 1.306 3.196
H -0.775 2.992 1.897
H -0.178 5.391 1.619
H 1.569 6.014 -0.067
H 2.623 4.197 -1.388
N 1.769 -0.938 -0.910
C 2.346 -0.123 -2.000
C 1.380 -0.267 -3.138
N 0.046 0.144 -2.631
C -0.289 1.543 -2.989
C -1.441 2.018 -2.114
N -1.986 0.851 -1.397
H 2.284 -0.805 -0.044
H 1.855 -1.927 -1.144
H 3.347 -0.467 -2.262
H 2.388 0.909 -1.657
H 1.306 -1.308 -3.457
H 1.669 0.332 -4.002
H -0.625 -0.472 -3.080
H -0.543 1.573 -4.050
H 0.591 2.160 -2.829
H -2.212 2.519 -2.698
H -1.085 2.722 -1.367
H -2.681 0.350 -1.945
H -2.445 1.139 -0.536
O -4.279 -5.269 -1.831
C -3.555 -4.361 -1.576
C -3.843 -3.212 -0.563
O -4.819 -3.042 0.100
C -2.605 -2.368 -0.646
C -1.725 -2.847 -1.531
O -0.617 -2.116 -1.692
C -2.156 -4.100 -2.198
O -1.572 -4.751 -3.014
O -2.293 -1.245 -0.023
```


Record 2
DFT (ωB97M-V/def2-TZVPD) results for C12H32CdIO4 as an isolated structure in a non-equilibrium geometry.

Largest force on an atom, eV/Å: 2.4
Charge: +1
LUMO energy, eV: -2.865
Frontier orbital gap, Ha: 0.309

XYZ file:
```
50
C12H32CdIO4 (ωB97M-V/def2-TZVPD)
Cd 0.082 -0.131 0.142
I -0.350 2.022 1.735
C 3.622 1.254 -1.894
C 2.332 1.604 -1.153
C 1.780 2.940 -1.584
O 1.340 0.569 -1.538
H 3.994 0.267 -1.627
H 4.379 2.038 -1.871
H 3.446 1.213 -2.982
H 2.541 1.554 -0.087
H 0.884 3.266 -1.057
H 1.480 2.910 -2.636
H 2.534 3.720 -1.454
H 1.509 0.482 -2.485
C 2.632 -2.388 2.826
C 2.297 -0.963 2.416
C 3.402 0.054 2.675
O 1.866 -0.890 1.027
H 2.623 -2.589 3.891
H 3.645 -2.656 2.472
H 2.117 -3.184 2.273
H 1.499 -0.639 3.094
H 4.232 -0.225 2.011
H 3.825 -0.081 3.671
H 3.107 1.085 2.514
H 2.346 -1.656 0.672
C -1.788 1.675 -3.283
C -1.949 1.401 -1.774
C -3.439 1.334 -1.453
O -1.348 0.103 -1.475
H -0.773 1.972 -3.537
H -2.401 2.554 -3.493
H -2.169 0.845 -3.879
H -1.485 2.202 -1.205
H -3.733 1.306 -0.403
H -3.886 0.475 -1.962
H -3.945 2.239 -1.798
H -1.764 -0.452 -2.151
C -2.776 -3.379 0.891
C -2.659 -1.835 0.860
C -3.644 -1.151 1.804
O -1.291 -1.479 1.192
H -2.159 -3.795 1.687
H -2.429 -3.761 -0.071
H -3.814 -3.683 0.995
-- stop --
== Back to the piece ==

Outlook and planning

The action is progressing on all areas. It is mostly on time and the aim is to complete it as planned in the original ToR.